Literature, history, politics, art, education and biographies in the Armand de Fluvià Documents Centre's catalogue

16/02/2022 - 13:45

The Armand de Fluvià Documents Centre, which is located in Barcelona's LGBTI Centre, has published its collection of new additions in its catalogue

The Armand de Fluvià Documents Centre, which is located in the Barcelona LGTBI Centre’s facilities, has published its collection of new additions in its catalogue, featuring titles in literature, history, politics, art, education and biographies, on a range of subjects including historical memory, bisexuality and trans identities.

Standing out in the arts category is Construccions identitàries=construcciones identitarias: work in progress, by the photographer Mar Llop, who is coming to the exhibitions space at the Barcelona LGBTI Centre to present part of her documentary, in video clips, Famílies trans*, which will be only until 26 April.

We highlight Gloria Anzaldúa’s Borderlands/La frontera, in the language and literature section, one of the books to feature in the “Frontier/fugitive bodies of heterosexuality” book club, along with the classic Stone Butch Blues. The book club will be chaired by Iki Yos Piña and held on 23 February and 23 March, from 6 pm to 8 pm.

Standing out in the biographies section is Kattalin Miner’ Empar Pineda. Porque se lo pidió el cuerpo, which was presented at the Centre this January and focuses on the lesbian activist Empar Pineda, whom the Centre paid homage to in November 2021.

As for the history section, we recommend El Paral·lel. 1892-1939: carrer i escena, by Eduard Molner and Xavier Albertí, and La Criolla. La puerta dorada del Barrio Chino, by Paco Villar, which can be used for finding further information on the LGBTI memory and repression routes in Barcelona planned for Saturday, 12 March and Saturday, 9 April.

The gender diversity section features several practical resource guides for trans individuals and their families, next to essays from a long list of famous writers that includes Judith Butler, Susan Stryker and Lucas Platero.

The Documents Centre has also taken on board four works onasexuality, written in English, and another four on lesbianism. There are other new books too on bisexuality, written by Siri Eisner and Anne Fausto-Sterling.

Finally, you can also find volumes in the catalogue on issues such as religion, health, education and social studies.

The Barcelona LGBTI Centre houses the Armand de Fluvià Documents Centre, under a Free Loan Agreement to the facility by Casal Lambda.

The Centre’s fonds contains an extensive documentary collection (library, newspaper library, video library and historical archives) relating to LGBTI people and to sexual, affective and gender diversity.

Consultation and loans times: Mondays, Tuesdays, Thursdays and Fridays, from 4 pm to 8 pm (you will need to bring your national ID (DNI) or supporting document).

## These calculated crystals were left in the piece by mistake
=====
[1]
DFT (PBE) results for a relaxed DyHfPd2 crystal.

Calculated values
The calculation puts the polymorph energy (0 for the lowest one) at 0.0000 eV/atom. As for the symmetry: P4/mmm (123). For the formation energy, the calculation gives -0.7464 eV/atom. As for the calculated total energy: -6.98 eV/atom. The volume is 80.6 Å³ per cell. The total magnetization is 0.00 μB per formula unit.

Cell: 3.388 3.388 7.020 Å, 90.00 90.00 90.00°
Element x y z (fractional)
Dy1 0.000 0.000 0.000
Hf1 0.000 0.000 0.500
Pd1 0.500 0.500 0.285
Pd2 0.500 0.500 0.715

[2]
DFT (PBE) results for a relaxed CsLa2BeF crystal.

Calculated values
As for the symmetry: P4/mmm (123). As for the energy relative to the elements, uncorrected: 2.8 eV/f.u. As for the calculated total energy: -2.71 eV/atom. The volume is 177.2 Å³ per cell. The total magnetization is 0.00 μB per formula unit.

Cell: 6.121 6.121 4.728 Å, 90.00 90.00 90.00°
Element x y z (fractional)
Cs1 0.000 0.000 0.000
La1 0.000 0.500 0.000
La2 0.500 0.000 0.000
Be1 0.500 0.500 0.500
F1 0.000 0.000 0.500

[3]
DFT (PBE) results for a relaxed Cu2Pt crystal.

Calculated values
The calculation puts the polymorph energy (0 for the lowest one) at 0.0921 eV/atom. As for the symmetry: Fd-3m (227). For the formation energy, the calculation gives -0.0535 eV/atom. As for the calculated total energy: -4.80 eV/atom. The volume is 78.4 Å³ per cell. The total magnetization is 0.00 μB per formula unit.

Cell: 4.804 4.804 4.804 Å, 60.00 60.00 60.00°
Element x y z (fractional)
Cu1 0.000 0.000 0.000
Cu2 0.000 0.000 0.500
Cu3 0.000 0.500 0.000
Cu4 0.500 0.000 0.000
Pt1 0.375 0.375 0.375
Pt2 0.625 0.625 0.625

[4]
DFT (PBE) results for a relaxed Cs3SrCd2Cl9 crystal.

Calculated values
As for the symmetry: P-3m1 (164). As for the energy relative to the elements, uncorrected: -26.2 eV/f.u. As for the calculated total energy: -3.26 eV/atom. The volume is 486.3 Å³ per cell. The total magnetization is 0.00 μB per formula unit.

Cell: 7.693 7.693 9.488 Å, 90.00 90.00 120.00°
Element x y z (fractional)
Cs1 0.000 0.000 0.000
Cs2 0.333 0.667 0.677
Cs3 0.667 0.333 0.323
Sr1 0.000 0.000 0.500
Cd1 0.333 0.667 0.159
Cd2 0.667 0.333 0.841
Cl1 0.000 0.500 0.000
Cl2 0.172 0.345 0.322
Cl3 0.172 0.828 0.322
Cl4 0.345 0.172 0.678
Cl5 0.500 0.000 0.000
Cl6 0.500 0.500 0.000
Cl7 0.655 0.828 0.322
Cl8 0.828 0.172 0.678
Cl9 0.828 0.655 0.678

[5]
DFT (PBE) results for a relaxed LiTiPb2O6 crystal.

Calculated values
As for the symmetry: R3 (146). As for the energy relative to the elements, uncorrected: -16.7 eV/f.u. As for the calculated total energy: -6.37 eV/atom. The volume is 134.6 Å³ per cell. The total magnetization is 0.00 μB per formula unit.

Cell: 6.018 6.018 6.018 Å, 54.56 54.56 54.56°
Element x y z (fractional)
Li1 0.000 0.000 0.000
Ti1 0.538 0.538 0.538
Pb1 0.243 0.243 0.243
Pb2 0.747 0.747 0.747
O1 0.203 0.434 0.807
O2 0.341 0.916 0.638
O3 0.434 0.807 0.203
O4 0.638 0.341 0.916
O5 0.807 0.203 0.434
O6 0.916 0.638 0.341

[6]
=====

See the full list of new titles here:

Newsletter 2021 (2)